• 14 Posts
Joined 1 year ago
Cake day: July 19th, 2023

_Unrelated to this text: data records_
=====
Structure and theoretical powder X-ray diffraction pattern of MgVBiO5 (a structure optimized by DFT (GGA+U); CuKα).
No peak broadening, texture or thermal motion is included.

Peak list (8 most intense, 2θ = 5–70°, low angle first)
2θ = 17.8°, I 87
2θ = 18.8°, I 39
2θ = 19.4°, I 70
2θ = 25.0°, I 75
2θ = 29.5°, I 100
2θ = 33.2°, I 41
2θ = 34.1°, I 37
2θ = 35.6°, I 34

Cell: 5.3993 11.7020 8.0075 Å, 90.00 112.74 90.00°
Atoms (fractional coordinates):
1 Mg 0.0502 0.0785 0.1762
2 Mg 0.0502 0.4215 0.6762
3 Mg 0.9498 0.5785 0.3238
4 Mg 0.9498 0.9215 0.8238
5 V 0.3144 0.6480 0.0298
6 V 0.3144 0.8520 0.5298
7 V 0.6856 0.1480 0.4702
8 V 0.6856 0.3520 0.9702
9 Bi 0.4410 0.0957 0.8248
10 Bi 0.4410 0.4043 0.3248
11 Bi 0.5590 0.5957 0.6752
12 Bi 0.5590 0.9043 0.1752
13 O 0.1761 0.7146 0.4844
14 O 0.1761 0.7854 0.9844
15 O 0.2024 0.5679 0.1738
16 O 0.2024 0.9321 0.6738
17 O 0.2564 0.5715 0.8299
18 O 0.2564 0.9285 0.3299
19 O 0.2584 0.0266 0.0143
20 O 0.2584 0.4734 0.5143
21 O 0.3482 0.1757 0.3602
22 O 0.3482 0.3243 0.8602
23 O 0.6518 0.6757 0.1398
24 O 0.6518 0.8243 0.6398
25 O 0.7416 0.5266 0.4857
26 O 0.7416 0.9734 0.9857
27 O 0.7436 0.0715 0.6701
28 O 0.7436 0.4285 0.1701
29 O 0.7976 0.0679 0.3262
30 O 0.7976 0.4321 0.8262
31 O 0.8239 0.2146 0.0156
32 O 0.8239 0.2854 0.5156


[1]
# PmNd2Ag4
Calculated powder diffractogram, a wavelength of 1.5418 Å. Input: the GGA-PBE geometry in Alexandria.
No peak broadening, texture or thermal motion is included.

Principal peaks in the range 2θ from 10° to 90°, sorted by position:
| two_theta | I (rel.) |
| --- | --- |
| 26.40 | 326 |
| 32.70 | 814 |
| 36.31 | 1000 |
| 42.51 | 182 |
| 46.93 | 292 |
| 60.74 | 430 |

Crystal structure
```
PmNd2Ag4
1.0
-2.738 2.738 6.431
2.738 -2.738 6.431
2.738 2.738 -6.431
Pm Nd Ag
1 2 4
direct
0.000 0.000 0.000
0.280 0.280 0.000
0.720 0.720 0.000
0.118 0.618 0.500
0.382 0.882 0.500
0.618 0.118 0.500
0.882 0.382 0.500
```


[2]
# Pm2NdAg
Calculated powder diffractogram, a wavelength of 1.5418 Å. Input: the GGA-PBE geometry in Alexandria.
No peak broadening, texture or thermal motion is included.

Principal peaks in the range 2θ from 10° to 90°, sorted by position:
| two_theta | I (rel.) |
| --- | --- |
| 31.44 | 1000 |
| 34.15 | 454 |
| 40.77 | 83 |
| 49.06 | 162 |
| 54.20 | 143 |
| 59.44 | 320 |

Crystal structure
```
Pm2NdAg
1.0
3.714 0.000 0.000
0.000 3.714 0.000
0.000 0.000 8.853
Pm Nd Ag
2 1 1
direct
0.000 0.000 0.212
0.000 0.000 0.788
0.500 0.500 0.500
0.500 0.500 0.000
```


[3]
# PmNd2Ag
Calculated powder diffractogram, a wavelength of 1.5418 Å. Input: the GGA-PBE geometry in Alexandria.
No peak broadening, texture or thermal motion is included.

Principal peaks in the range 2θ from 10° to 90°, sorted by position:
| two_theta | I (rel.) |
| --- | --- |
| 31.21 | 1000 |
| 33.43 | 267 |
| 34.14 | 468 |
| 39.73 | 239 |
| 49.32 | 351 |
| 60.89 | 279 |

Crystal structure
```
PmNd2Ag
1.0
1.848 1.067 10.723
-1.848 1.067 10.723
0.000 -2.134 10.723
Pm Nd Ag
1 2 1
direct
0.000 0.000 0.000
=====


  • Curious what you contribute to such that you have not had a bad experience, since I see people talk of bad experiences with the people in FOSS on every thread like this, and since you were downvoted for sharing your personal experience which, as far as I can tell, seems to be on-topic and civil with no hint of rudeness or “your bad experience definitely never happened/was your own fault”.

    Speaking as someone who also has no/few bad experiences with certain situations where the majority’s experience (at least that I have seen online) is having a lot of negative encounters, so I believe you. I ask because maybe people who want to contribute to FOSS can try contributing to the (type of) things you do too ;)

    I have no idea what you contribute to but thank you for your work!

  • I am curious if it is viable to do it just pure JS or if I really need to learn some popular frameworks/libraries. I have no idea where this resistance comes from, guessing it’s perhaps because “oh wow a whole framework” seems more intimidating than “learn to fix your code in a language you already know a little bit”, as someone unfamiliar with frameworks. I should probably learn them anyways.

    I do have some of the code commented but I also recently found according to https://refactoring.guru that this is bad?

    Final thing: most resources I am aware of are for cleaning up object-oriented stuff. Wondering about resources for cleaning up non-object-oriented stuff and when I should and should not be doing object-oriented stuff, seeing as I did not write this raw JS object-oriented. (Yes, I know you can still kind of imitate some of the design patterns anyways, just curious.)

    Also need to find out if if’s okay to have the same thing appear twice in the HTML and how to put that in a constant if not, or if it would be better to programmatically generate it because a lot of it is pretty repetitive and the same string everywhere (except for the name attribute sometimes).

    Again, thank you so much for your advice! I’ll definitely be checking these resources.

  • It is JavaScript!

    I wanted to say just thank you so much for your feedback and help, I really appreciate it. I’ll probably try to handle it as an array until final display to the user (tbh probably just me), where the commas and spaces will be used because that’s how English works and seeing an output of stringOne,stringTwo,stringThree without the space would just irritate me a lot.

    I am aware of unit testing and know I should use it. I also didn’t use any frameworks and I’m not sure what I should use to test it when I didn’t use Node.js or React or anything like that (not sure if “framework” is the right word). My only knowledge of them is that sometimes when I fork other peoples’ projects I have to do stuff like npm install and npm run build and I have a vague overview idea of what those commands do (install dependencies, compile the stuff and run it). What I actually did to test things was just using the website. I let it go because it is small, under 200 lines of code, and probably will not expand very much.

    Specifically the actual JS never has the string written down! I grab it from the HTML. Where it does show up several times: the element’s name, ID (wonder if I can just wipe it out of the name), often its value, and in the element’s label in the for attribute. Not sure what best practice is here.

  • I actually wrote it just once. It acquired the space like this:

    I concatenate a bunch of strings together, and add a comma and space between them so I could get stringOne, stringTwo, stringThree etc. I later need to decompose that. I remembered I separated stuff with a comma, but forgot about the space following the comma and that is how I ended up having to deal with " NameHere" vs “NameHere” without having actually written NameHere several times in my code. Is there a better way to go about this?

    I have also just read my post again and it explicitly contradicts “I actually wrote it just once”. Not sure if I did write it multiple times and merely forgot as I typed this comment and claimed to write it just once, or if I just pretended I wrote it multiple times when it was only once so I could simplify explaining my problem. For the purpose of my question though, let us pretend I did write it once. I promise I am aware that strings that are frequently used should be made constant, although I could use more specifics on what “frequently used” is (more than once?) and I’m wondering if you actually should not really use strings at all and always go for constants.

  • However, as I discovered to my cost, TiddlyWiki has never had a strong “start here,” because it is not tailored to one specific task. Obsidian, by comparison, has the advantage of a clear vision of what it does. TiddlyWiki bewilders you with options at first because it hasn’t been designed to be sold. The community focus is on adapting it to different use cases.

    So I’m going to take the advice in this explainer and use TiddlyDesktop while mentioning that there are plenty of other arrangements. It is, after all, just HTML and JavaScript. Let’s get started…

    You wrote this part twice in your post.

    Cool tool though!

  • Name would not be enough to stop me from using it but TiddlyWiki absolutely sounds stupid. It’s probably a play off “tiddlywinks” but that also sounds stupid. It’s something I’d cringe saying. I might unabashedly type out my recommendation with the name to a friend or send a link to it, but would try to dodge saying the name in an in-person conversation.

    This hurts spread. One of the primary ways I find new software is by word of mouth from friends in-person (somehow I have an easier time ignoring or brushing off suggestions that are texted to me, and I take ones made in-person more seriously. I have no idea why), and I usually end up sticking with whatever they recommended.